recommended action
It is recommended that the City Council approve a motion to:
1. Authorize the City Manager to execute Professional Services Contract Amendment No. 2 in the amount of $200,673 with Siegfried Engineering, Inc. for additional design services and to extend the contract expiration date to June 30, 2026, for the Lincoln Road Sewer Trunk Rehabilitation, Project No. UW21018.
It is also recommended that the City Manager be authorized to take appropriate and necessary actions to carry out the purpose and intent of this motion.
On March 9, 2021, by Resolution No. 2021-03-09-1204, Council authorized the award of a Professional Services Contract in the amount of $231,000 to Siegfried Engineering, Inc. of Stockton, CA, for design services of the Lincoln Road Sewer Trunk Rehabilitation, Project No. UW21018. The project was included in the 2020-25 Five-Year Capital Improvement Plan (CIP).
On December 28, 2023, Professional Services Contract Amendment No. 1 was administratively approved by the City Manager to extend the contract expiration date from December 31, 2023, to December 31, 2025. Siegfried Engineering, Inc. submitted a proposal for additional design serves required to complete the project. Staff negotiated Professional Services Contract Amendment No. 2 in the amount of $200,673 to extend design support services.
It is recommended that Council approve a motion authorizing the City Manager to execute Professional Services Contract Amendment No. 2 in the amount of $200,673 with Siegfried Engineering, Inc. for additional design services and to extend the contract expiration date to June 30, 2026, for the Lincoln Road Sewer Trunk Rehabilitation, Project No. UW21018.
The Municipal Utilities Department (MUD) has implemented a Condition Assessment Program for the City’s sewer infrastructure comprised of Closed-Circuit Televised Video inspection, pipe cleaning, and engineering evaluation. This program generates a prioritized list of sewer replacement and/or rehabilitation projects for inclusion in the City’s CIP. The program identified a project to enlarge a large diameter pipe segment along Lincoln Road between Pershing Avenue and Alexandria Place. The project will upsize approximately 2,800 feet of existing 36-inch diameter pipe to 42-inches. The project was included in the 2020-25 Five-Year CIP.
## Between two parts of the text: calculated crystals
=====
This record from Materials Project describes a geometry-optimized Ba2CuN2 structure. The functional is r2SCAN.

Properties
- Symmetry: I4/mmm (139)
- Energy of formation from the pure elements: -0.427 eV per atom
- M_tot: 1.0 μB per formula unit
- E_tot: -16.848 eV per atom
- Crystal system: tetragonal

abc: 7.120 7.120 7.120
angles: 146.51 146.51 48.09
Atoms (fractional coordinates):
Ba1 0.150 0.150 0.000
Ba2 0.850 0.850 0.000
Cu1 0.500 0.500 0.000
N1 0.362 0.362 0.000
N2 0.638 0.638 0.000
=====
## So much for the calculated crystals
On March 9, 2021, by Resolution No. 2021-03-09-1204, Council authorized the award of a Professional Services Contract in the amount of $231,000 to Siegfried Engineering, Inc. of Stockton, CA, for design services of the Lincoln Road Sewer Trunk Rehabilitation, Project No. UW21018.
On December 28, 2023, Professional Services Contract Amendment No. 1 was administratively approved by the City Manager to extend the contract expiration date from December 31, 2023, to December 31, 2025.
Present Situation
The original intent of the Lincoln Road Sewer Trunk Rehabilitation, Project No. UW21018, was to upsize the existing 36-inch diameter sewer trunk line to 42-inch diameter sewer trunk line approximately 2,800 linear feet along Lincoln Road between Pershing Avenue and Alexandria Place by pipe bursting or cured in-place pipe methods. However, due to the condition of the existing sewer trunk line, these methods were not recommended. The recommended method is to construct a new 42-inch diameter sewer trunk line by open trench, replacing the existing 36-inch diameter sewer trunk line. The recommended method was based on the Preliminary Design Report which was developed to assess the options for rehabilitating or replacing the existing sewer trunk line.
Due to the change in scope, additional design services from Siegfried Engineering, Inc. will be required. Additional paving will be done along the south side of Lincoln Road, the intersection of Alexandria Place and Lincoln Road, as well as the entire road width on Alexandria Place to capture the recent sewer trunk line repair work. The project will also install Americans with Disabilities Act compliant curb ramps at the intersection of Lincoln Road and Pershing Avenue.
While Professional Services Contract Amendment No. 1 was approved under the City Manager’s administrative authority, with Professional Services Contract Amendment No. 2, the total contract increase to $431,673.00 will exceed the administrative amendment authority under the contract. Accordingly, Professional Services Contract Amendment No. 2 will require Council approval and result in a total contract amount of $431,673.
It is recommended that Council approve a motion authorizing the City Manager to execute Professional Services Contract Amendment No. 2 in the amount of $200,673 with Siegfried Engineering, Inc. for additional design services and to extend the contract expiration date to June 30, 2026, for the Lincoln Road Sewer Trunk Rehabilitation, Project No. UW21018.
There is sufficient funding in the Lincoln Road Sewer Trunk Rehabilitation, Project No. UW21018, to approve Professional Services Contract Amendment No. 2 with Siegfried Engineering, Inc. in the amount of $200,673. With approval of Professional Services Contract Amendment No. 2, the revised contract amount with Siegfried Engineering, Inc. will be increased to $431,673.
There is no impact on the City’s General Fund or any other unrestricted fund as a result of taking the recommended action.
Attachment A - Vicinity Map
Attachment B - Professional Services Contract Amendment No. 2 with Siegfried Engineering, Inc.